____________
No. 1
The following is a theoretical PXRD pattern of OsN. It was derived from DFT lattice parameters and positions (PBE), using λ = 1.5418 Å (Cu Kα).
Lines closer than 0.1° are merged.

Structure:
```
data_OsN
_symmetry_space_group_name_H-M 'P m n 21'
_symmetry_Int_Tables_number 31
_symmetry_space_group_name_Hall 'P 2ac -2'
_cell_length_a 2.778
_cell_length_b 3.731
_cell_length_c 4.270
_cell_angle_alpha 90.00
_cell_angle_beta 90.00
_cell_angle_gamma 90.00
loop_
_atom_site_label
_atom_site_type_symbol
_atom_site_fract_x
_atom_site_fract_y
_atom_site_fract_z
Os1 Os 0.000 0.137 0.000
N1 N 0.000 0.650 0.801
```

Peak list (10 most intense, 10 to 90 degrees two-theta, sorted by position)
hkl, 2theta, d/Å, I (rel.)
0 1 0, 23.85, 3.731, 60
0 1 1, 31.85, 2.810, 88
1 0 1, 38.67, 2.328, 100
1 1 0, 40.49, 2.228, 42
0 0 2, 42.33, 2.135, 33
1 1 1, 45.94, 1.975, 48
0 2 1, 53.61, 1.710, 38
1 2 0, 59.71, 1.549, 30
1 1 2, 60.01, 1.542, 34
1 2 2, 75.90, 1.254, 25


No. 2
The following is a theoretical PXRD pattern of Sm2Ga12Ir. It was derived from DFT lattice parameters and positions (PBE), using λ = 1.5418 Å (Cu Kα).
Lines closer than 0.1° are merged.

Structure:
```
data_Sm2Ga12Ir
_symmetry_space_group_name_H-M 'P 4/n b m'
_symmetry_Int_Tables_number 125
_cell_length_a 6.109
_cell_length_b 6.109
_cell_length_c 15.600
_cell_angle_alpha 90.00
_cell_angle_beta 90.00
_cell_angle_gamma 90.00
loop_
_symmetry_equiv_pos_as_xyz
'x,y,z'
'-x,-y,-z'
'-y+1/2,x,z'
'y+1/2,-x,-z'
'-x+1/2,-y+1/2,z'
'x+1/2,y+1/2,-z'
'y,-x+1/2,z'
'-y,x+1/2,-z'
'x,-y+1/2,-z'
'-x,y+1/2,z'
'-y+1/2,-x+1/2,-z'
'y+1/2,x+1/2,z'
'-x+1/2,y,-z'
'x+1/2,-y,z'
'y,x,-z'
'-y,-x,z'
loop_
_atom_site_label
_atom_site_type_symbol
_atom_site_fract_x
_atom_site_fract_y
_atom_site_fract_z
Sm1 Sm 0.250 0.750 0.239
Ga1 Ga 0.000 0.000 0.087
Ga2 Ga 0.083 0.583 0.431
Ga3 Ga 0.250 0.250 0.190
Ga4 Ga 0.250 0.250 0.347
Ir1 Ir 0.250 0.750 0.000
```

Peak list (10 most intense, 10 to 90 degrees two-theta, sorted by position)
hkl, 2theta, d/Å, I (rel.)
1 1 0, 20.56, 4.319, 30
1 1 4, 30.89, 2.895, 100
2 0 2, 31.46, 2.844, 73
2 0 4, 37.40, 2.405, 60
2 0 5, 41.37, 2.183, 51
2 2 0, 41.83, 2.160, 90
2 0 6, 45.83, 1.980, 43
3 1 1, 47.42, 1.917, 26
0 0 9, 52.88, 1.731, 58
3 1 8, 68.35, 1.372, 31

=====

(1)
This entry pairs a crystal structure of BePb3 with its simulated X-ray powder pattern. Radiation: Cu Kα (λ = 1.5418 Å). Structure: a GGA-PBE-relaxed structure.
No peak broadening, texture or thermal motion is included.

Most intense lines, 10° ≤ 2θ ≤ 90°, by angle:
2θ/deg  d [Å]  I_rel
21.0  4.232  290
32.4  2.762  1000
35.4  2.536  199
38.7  2.328  314
53.4  1.715  251
55.8  1.646  110
61.7  1.504  165
66.1  1.414  269
67.9  1.381  125
87.9  1.110  134

Unit cell a=6.0473 b=6.0473 c=6.0473 alpha=134.72 beta=134.72 gamma=65.97
Sites, in units of the cell vectors:
Be (0.0000, 0.0000, 0.0000)
Pb (0.2500, 0.7500, 0.5000)
Pb (0.5000, 0.5000, 0.0000)
Pb (0.7500, 0.2500, 0.5000)

(2)
This entry pairs a crystal structure of BePd with its simulated X-ray powder pattern. Radiation: Cu Kα (λ = 1.5418 Å). Structure: a GGA-PBE-relaxed structure.
No peak broadening, texture or thermal motion is included.

Most intense lines, 10° ≤ 2θ ≤ 90°, by angle:
2θ/deg  d [Å]  I_rel
31.6  2.832  1000
45.3  2.003  909
56.3  1.635  254
66.0  1.416  144
75.0  1.267  317
83.6  1.156  299

Unit cell a=2.8322 b=2.8322 c=2.8322 alpha=90.00 beta=90.00 gamma=90.00
Sites, in units of the cell vectors:
Be (0.0000, 0.0000, 0.0000)
Pd (0.5000, 0.5000, 0.5000)

What did the first record say?
This entry pairs a crystal structure of BePb3 with its simulated X-ray powder pattern. Radiation: Cu Kα (λ = 1.5418 Å). Structure: a GGA-PBE-relaxed structure.
No peak broadening, texture or thermal motion is included.

Most intense lines, 10° ≤ 2θ ≤ 90°, by angle:
2θ/deg  d [Å]  I_rel
21.0  4.232  290
32.4  2.762  1000
35.4  2.536  199
38.7  2.328  314
53.4  1.715  251
55.8  1.646  110
61.7  1.504  165
66.1  1.414  269
67.9  1.381  125
87.9  1.110  134
____________

Next, print only the last part of the entries above, starting with the line that has "_cell_length_c 4.270".

_cell_length_c 4.270
_cell_angle_alpha 90.00
_cell_angle_beta 90.00
_cell_angle_gamma 90.00
loop_
_atom_site_label
_atom_site_type_symbol
_atom_site_fract_x
_atom_site_fract_y
_atom_site_fract_z
Os1 Os 0.000 0.137 0.000
N1 N 0.000 0.650 0.801
```

Peak list (10 most intense, 10 to 90 degrees two-theta, sorted by position)
hkl, 2theta, d/Å, I (rel.)
0 1 0, 23.85, 3.731, 60
0 1 1, 31.85, 2.810, 88
1 0 1, 38.67, 2.328, 100
1 1 0, 40.49, 2.228, 42
0 0 2, 42.33, 2.135, 33
1 1 1, 45.94, 1.975, 48
0 2 1, 53.61, 1.710, 38
1 2 0, 59.71, 1.549, 30
1 1 2, 60.01, 1.542, 34
1 2 2, 75.90, 1.254, 25


No. 2
The following is a theoretical PXRD pattern of Sm2Ga12Ir. It was derived from DFT lattice parameters and positions (PBE), using λ = 1.5418 Å (Cu Kα).
Lines closer than 0.1° are merged.

Structure:
```
data_Sm2Ga12Ir
_symmetry_space_group_name_H-M 'P 4/n b m'
_symmetry_Int_Tables_number 125
_cell_length_a 6.109
_cell_length_b 6.109
_cell_length_c 15.600
_cell_angle_alpha 90.00
_cell_angle_beta 90.00
_cell_angle_gamma 90.00
loop_
_symmetry_equiv_pos_as_xyz
'x,y,z'
'-x,-y,-z'
'-y+1/2,x,z'
'y+1/2,-x,-z'
'-x+1/2,-y+1/2,z'
'x+1/2,y+1/2,-z'
'y,-x+1/2,z'
'-y,x+1/2,-z'
'x,-y+1/2,-z'
'-x,y+1/2,z'
'-y+1/2,-x+1/2,-z'
'y+1/2,x+1/2,z'
'-x+1/2,y,-z'
'x+1/2,-y,z'
'y,x,-z'
'-y,-x,z'
loop_
_atom_site_label
_atom_site_type_symbol
_atom_site_fract_x
_atom_site_fract_y
_atom_site_fract_z
Sm1 Sm 0.250 0.750 0.239
Ga1 Ga 0.000 0.000 0.087
Ga2 Ga 0.083 0.583 0.431
Ga3 Ga 0.250 0.250 0.190
Ga4 Ga 0.250 0.250 0.347
Ir1 Ir 0.250 0.750 0.000
```

Peak list (10 most intense, 10 to 90 degrees two-theta, sorted by position)
hkl, 2theta, d/Å, I (rel.)
1 1 0, 20.56, 4.319, 30
1 1 4, 30.89, 2.895, 100
2 0 2, 31.46, 2.844, 73
2 0 4, 37.40, 2.405, 60
2 0 5, 41.37, 2.183, 51
2 2 0, 41.83, 2.160, 90
2 0 6, 45.83, 1.980, 43
3 1 1, 47.42, 1.917, 26
0 0 9, 52.88, 1.731, 58
3 1 8, 68.35, 1.372, 31

=====

(1)
This entry pairs a crystal structure of BePb3 with its simulated X-ray powder pattern. Radiation: Cu Kα (λ = 1.5418 Å). Structure: a GGA-PBE-relaxed structure.
No peak broadening, texture or thermal motion is included.

Most intense lines, 10° ≤ 2θ ≤ 90°, by angle:
2θ/deg  d [Å]  I_rel
21.0  4.232  290
32.4  2.762  1000
35.4  2.536  199
38.7  2.328  314
53.4  1.715  251
55.8  1.646  110
61.7  1.504  165
66.1  1.414  269
67.9  1.381  125
87.9  1.110  134

Unit cell a=6.0473 b=6.0473 c=6.0473 alpha=134.72 beta=134.72 gamma=65.97
Sites, in units of the cell vectors:
Be (0.0000, 0.0000, 0.0000)
Pb (0.2500, 0.7500, 0.5000)
Pb (0.5000, 0.5000, 0.0000)
Pb (0.7500, 0.2500, 0.5000)

(2)
This entry pairs a crystal structure of BePd with its simulated X-ray powder pattern. Radiation: Cu Kα (λ = 1.5418 Å). Structure: a GGA-PBE-relaxed structure.
No peak broadening, texture or thermal motion is included.

Most intense lines, 10° ≤ 2θ ≤ 90°, by angle:
2θ/deg  d [Å]  I_rel
31.6  2.832  1000
45.3  2.003  909
56.3  1.635  254
66.0  1.416  144
75.0  1.267  317
83.6  1.156  299

Unit cell a=2.8322 b=2.8322 c=2.8322 alpha=90.00 beta=90.00 gamma=90.00
Sites, in units of the cell vectors:
Be (0.0000, 0.0000, 0.0000)
Pd (0.5000, 0.5000, 0.5000)

What did the first record say?
This entry pairs a crystal structure of BePb3 with its simulated X-ray powder pattern. Radiation: Cu Kα (λ = 1.5418 Å). Structure: a GGA-PBE-relaxed structure.
No peak broadening, texture or thermal motion is included.

Most intense lines, 10° ≤ 2θ ≤ 90°, by angle:
2θ/deg  d [Å]  I_rel
21.0  4.232  290
32.4  2.762  1000
35.4  2.536  199
38.7  2.328  314
53.4  1.715  251
55.8  1.646  110
61.7  1.504  165
66.1  1.414  269
67.9  1.381  125
87.9  1.110  134